Fan Man-yee (樊敏儀) was finally living a clean life. At 23, she was married, had a son, and had cleaned up her act, having worked as a prostitute and been a drug addict in the past. Unfortunately, past mistakes could still haunt you, even if you had changed. And though you yourself may have had no affinity for Hello Kitty, that’s what you would become known for. The Hello Kitty Murder.

Chan Man-lok (陳文樂), was a 34 year old pimp and drug dealer who lived in a five-bedroom apartment at No. 31 Granville Road, Tsim Sha Tsui, Hong Kong. His apartment was a little girl’s dream; decorated with Hello Kitty top to bottom, including curtains, sheets, kitchenware, a large collection of stuffed toys and more. That was in addition to his hefty supply of pornography, drugs, and video games.
Fan first encountered Chan in 1997, when she stole his wallet which contained $4000 USD. She realized her mistake, but it was too late. She returned the wallet, with an additional $10,000 USD as an apology, but that wasn’t enough. Chan wanted her to give him another $16,000.
When Fan didn’t pay up, Chan decided to take matters into his own hands. On March 17, 1999, Chan ordered his henchmen , 27-year-old Leung Shing-cho (梁勝祖) and 21-year-old Leung Wai-lun (梁偉倫) to kidnap her.
Chan’s original plan was to put Fan to work on the streets as a prostitute, until she could pay off her debt to him. Instead, when they got her back to Chan’s apartment, all three men were high on Crystal Meth and began taking turns beating her.
Chan’s girlfriend, 13 year old Ah Fong was witness to the torture, and reported that on one occasion she watched as her boyfriend kicked Fan at least fifty times. She admitted that at one point, she too, joined in by hitting Fan with her hand. She said, “I had a feeling it was for fun.”
Fan was forced to consume the feces of Ah Fong. They urinated into her mouth. They melted straws and dripped the scalding hot plastic onto the soles of her feet. Ah Fong would pour chili oil onto the burns made by the melted plastic. Her wrists were tied together with electrical wire and she was hung from the ceiling. Then they would all take turns beating her with metal pipes and more until she was covered in blood and her fingers were all broken.
After a month of torture, Ah Fong discovered that Fan was dead. The three men argued that she died as a result of a methamphetamine overdose, but it was more likely she died as a result of her injuries. Especially when you consider that she had been in and out of consciousness in the days leading up to her death.
In mid-April, the men placed Fan’s body in the bathtub and proceeded to dismember her with a saw. At this point, they decided to cook her remains, to stop her from decomposing and stinking up the apartment. They placed her body parts into a pot of boiling water on the stove, sometimes cooking her remains next to the food they were about to have for dinner. They even utilized the same utensils for cooking Fan, as they did for their meals.

Most of her body parts were tossed out with the household garbage, yet for unknown reasons, they chose to keep her head. They opened up a Hello Kitty mermaid stuffed toy and placed her rotting head inside, sewing it shut.
A month later, Ah Fong began having nightmares. She was convinced Fan’s spirit was haunting her, and believed the only way to free herself from the restless ghost, was to confess to the police. She went to the Hong Kong police station and told them she was being haunted by a ghost. As expected, the police dismissed her, until she pressed on, telling them the ghost belonged to a girl she had helped torture and kill.
Police searched Chan’s apartment, which the three men had vacated, and discovered multiple pieces of evidence that corroborated Fong’s story – including the head inside of Hello Kitty.

The three men were arrested, and Fong received immunity from the prosecution in exchange for her testimony against the other three. All three men denied killing Fan, though they did admit they prevented her from receiving a lawful burial – which is a criminal charge in Hong Kong.
Chan and Wai-lun plead guilty to false imprisonment, which Shing-cho denied the allegations. During the course of their trial, the three men turned on one another, each accusing the other of torturing Fan and minimizing their own roles in her abuse. Their defence tried to convince the jury that she had died of a drug overdose.
Due to the method of disposal, medical authorities were unable to determine the exact cause of death. As a result, the jury refused to find the men guilty, and instead the three were convicted of manslaughter in December, 2000. They were sentenced to life in prison, with the possibility of parole after 20 years.
20 years will be up in December 2020.

(Materials data from another source follow)
........
# 1
Computed powder diffraction line list
Compound: CaU2P2O18
Radiation: CuKα
Structure: a structure optimized by DFT (GGA-PBE)

Main lines, most intense first (5 to 70 degrees two-theta):
2θ (°)	d [Å]	I_rel
10.80	8.194	100.0
16.66	5.321	85.9
25.20	3.534	84.6
17.94	4.945	57.5
25.58	3.483	50.7
25.37	3.510	42.9
20.98	4.234	42.0
48.09	1.892	26.7
27.64	3.227	22.9
36.34	2.472	21.3
35.27	2.544	20.3
36.08	2.490	18.9

Structure:
```
CaU2P2O18
1.0
6.9652 0.0000 0.0000
0.0000 7.0209 0.0000
0.0000 0.0000 8.1939
Ca U P O
1 2 2 18
Cartesian
0.0000 0.0000 0.0000 Ca
0.0000 0.0000 4.0985 U
3.4826 3.5104 5.9334 U
0.0000 3.5104 5.0170 P
3.4826 0.0000 5.0585 P
0.0000 0.0000 2.1851 O
0.0000 0.0000 6.0063 O
0.0000 2.2348 4.1196 O
0.0000 2.8988 0.4576 O
0.0000 4.1221 0.4576 O
0.0000 4.7861 4.1196 O
1.2292 3.5104 5.9484 O
2.2105 0.0000 4.1497 O
2.8142 0.0000 0.8637 O
3.4826 1.2405 5.9703 O
3.4826 1.6062 1.2397 O
3.4826 3.5104 4.1260 O
3.4826 3.5104 7.7666 O
3.4826 5.4147 1.2397 O
3.4826 5.7804 5.9703 O
4.1510 0.0000 0.8637 O
4.7547 0.0000 4.1497 O
5.7360 3.5104 5.9484 O
```

---

# 2
Computed powder diffraction line list
Compound: RbNaMg14O15
Radiation: CuKα
Structure: a structure optimized by DFT (GGA-PBE)

Main lines, most intense first (5 to 70 degrees two-theta):
2θ (°)	d [Å]	I_rel
42.94	2.106	100.0
43.20	2.094	89.2
34.78	2.580	58.6
62.55	1.485	51.4
27.31	3.265	50.2
34.46	2.603	44.9
29.28	3.050	34.8
22.89	3.886	31.2
43.46	2.082	29.8
10.56	8.377	29.1
33.50	2.675	27.7
48.83	1.865	25.5

Structure:
```
RbNaMg14O15
1.0
4.2126 0.0000 0.0000
0.0000 8.3767 0.0000
0.0000 0.0000 10.4106
Rb Na Mg O
1 1 14 15
Cartesian
0.0000 0.0000 0.0000 Rb
0.0000 4.1883 5.9734 Na
0.0000 0.0000 5.5741 Mg
0.0000 1.9145 3.3570 Mg
0.0000 2.1025 7.7043 Mg
0.0000 4.1883 0.3629 Mg
0.0000 6.2741 7.7043 Mg
0.0000 6.4622 3.3570 Mg
2.1063 0.0000 3.3534 Mg
2.1063 0.0000 7.5895 Mg
2.1063 2.1339 1.2866 Mg
2.1063 2.1761 5.6075 Mg
2.1063 4.1883 3.5089 Mg
2.1063 4.1883 8.6066 Mg
2.1063 6.2005 5.6075 Mg
2.1063 6.2428 1.2866 Mg
0.0000 0.0000 3.5493 O
0.0000 0.0000 7.7059 O
0.0000 2.0456 5.5777 O
0.0000 2.4991 1.4331 O
0.0000 4.1883 8.4719 O
0.0000 5.8776 1.4331 O
0.0000 6.3311 5.5777 O
2.1063 0.0000 1.3645 O
2.1063 0.0000 5.5475 O
2.1063 2.1045 7.8299 O
2.1063 2.2292 3.3661 O
2.1063 4.1883 0.2865 O
2.1063 4.1883 5.4063 O
2.1063 6.1474 3.3661 O
2.1063 6.2722 7.8299 O
```

---

# 3
Computed powder diffraction line list
Compound: DyCu
Radiation: CuKα
Structure: a structure optimized by DFT (GGA-PBE)

Main lines, most intense first (5 to 70 degrees two-theta):
2θ (°)	d [Å]	I_rel
36.68	2.450	100.0
66.05	1.414	34.7
25.71	3.465	19.4
52.85	1.732	17.3
59.67	1.549	8.2
45.34	2.000	5.9

Structure:
```
DyCu
1.0
3.4647 0.0000 0.0000
0.0000 3.4647 0.0000
0.0000 0.0000 3.4647
Dy Cu
1 1
Cartesian
0.0000 0.0000 0.0000 Dy
1.7324 1.7324 1.7324 Cu
```

---

# 4
Computed powder diffraction line list
Compound: RbGeCl3
Radiation: CuKα
Structure: a structure optimized by DFT (GGA-PBE)
........

If you thought this was disturbing, please take a moment and read about Junko Furuta.
the fact people do this disgusts me, those men should be killed for what they did